Assignment =
Please print the rows further down unchanged.

Entries =
## Sr2Ca6Mn7FeO20 (PBE with a Hubbard U)

Data for a relaxed structure of Sr2Ca6Mn7FeO20.

Results
V (Å³ per atom): 13.1
Raw total energy (eV/atom): -6.953
Energy relative to the elements (meV per atom): -2528

```
Sr2Ca6Mn7FeO20
1.0
2.2101 -7.4716 7.7193
-3.5344 -8.0795 -6.8414
14.9813 6.2118 -6.0115
Sr Ca Mn Fe O
8 24 28 4 80
direct
0.3083 0.5605 0.6095
0.8068 0.0600 0.6095
0.1991 0.4407 0.8918
0.0578 0.2979 0.6084
0.0586 0.8003 0.6095
0.5589 0.2994 0.6104
0.4489 0.2006 0.8898
0.9457 0.1999 0.3867
0.3058 0.0645 0.1087
0.3075 0.0597 0.6038
0.3057 0.5656 0.1092
0.8036 0.0621 0.1052
0.8068 0.5633 0.1080
0.8069 0.5616 0.6060
0.1990 0.4366 0.3922
0.1994 0.9353 0.3915
0.1992 0.9384 0.8957
0.6986 0.4368 0.3925
0.7013 0.4373 0.8952
0.6989 0.9355 0.3921
0.6995 0.9367 0.8935
0.0576 0.2937 0.1088
0.0562 0.7928 0.1079
0.5580 0.2939 0.1092
0.5565 0.7933 0.1080
0.5577 0.7942 0.6057
0.4505 0.2057 0.3917
0.4490 0.7065 0.3926
0.4510 0.7083 0.8951
0.9508 0.2072 0.8946
0.9494 0.7050 0.3917
0.9483 0.7074 0.8942
0.0044 0.9981 0.4976
0.0029 0.5002 0.4970
0.5041 0.9987 0.4976
0.5073 0.5011 0.0021
0.5044 0.4993 0.4972
0.2568 0.2515 0.0029
0.2544 0.2472 0.4968
0.2565 0.7527 0.0019
0.2550 0.7499 0.4969
0.7573 0.2508 0.0010
0.7529 0.2501 0.4979
0.7528 0.7475 0.4967
0.1117 0.0941 0.2474
0.1117 0.0928 0.7529
0.1108 0.5961 0.2501
0.1082 0.6010 0.7513
0.6076 0.0961 0.2498
0.6110 0.0925 0.7493
0.6084 0.5949 0.2496
0.6152 0.6033 0.7528
0.3579 0.4053 0.2507
0.3674 0.4062 0.7517
0.3587 0.9033 0.2501
0.3647 0.9016 0.7498
0.8571 0.4067 0.2482
0.8609 0.4074 0.7525
0.8579 0.8991 0.2476
0.8584 0.8994 0.7515
0.0058 0.0002 0.0006
0.0064 0.5008 0.0022
0.5068 0.0014 0.0029
0.7557 0.7496 0.0009
0.1273 0.1178 0.4901
0.1255 0.1229 0.9900
0.1228 0.6213 0.4856
0.1251 0.6282 0.9914
0.6199 0.1179 0.4842
0.6308 0.1216 0.9918
0.6231 0.6193 0.4880
0.6234 0.6183 0.9899
0.1386 0.3786 0.0154
0.1317 0.3774 0.5033
0.1375 0.8812 0.0126
0.1353 0.8792 0.5056
0.6411 0.3790 0.0149
0.6345 0.3811 0.5071
0.6340 0.8779 0.0128
0.6298 0.8731 0.5058
0.3711 0.1150 0.4853
0.3727 0.1202 0.9933
0.3745 0.6198 0.4871
0.3769 0.6272 0.9936
0.8710 0.1161 0.4887
0.8746 0.1194 0.9889
0.8710 0.6175 0.4867
0.8723 0.6158 0.9877
0.3883 0.3856 0.0171
0.3819 0.3777 0.5029
0.3837 0.8822 0.0125
0.3857 0.8809 0.5103
0.8861 0.3797 0.0137
0.8791 0.3834 0.5068
0.8867 0.8835 0.0139
0.8802 0.8757 0.5027
0.0848 0.0952 0.1341
0.0757 0.0789 0.6341
0.0817 0.5962 0.1319
0.0715 0.5855 0.6331
0.5809 0.0960 0.1330
0.5751 0.0842 0.6291
0.5802 0.5943 0.1342
0.5767 0.5892 0.6333
0.4450 0.4087 0.3653
0.4479 0.4125 0.8702
0.4433 0.9058 0.3651
0.4513 0.9106 0.8674
0.9425 0.4138 0.3623
0.9482 0.4042 0.8689
0.9445 0.9099 0.3639
0.9462 0.9047 0.8674
0.3295 0.2914 0.1374
0.3256 0.2931 0.6314
0.3300 0.7922 0.1347
0.3245 0.7951 0.6310
0.8300 0.2905 0.1338
0.8205 0.2985 0.6317
0.8280 0.7854 0.1341
0.8218 0.7938 0.6324
0.1911 0.2049 0.3633
0.1938 0.2059 0.8672
0.1993 0.7128 0.3691
0.1965 0.7110 0.8684
0.6902 0.2112 0.3677
0.6959 0.2119 0.8692
0.6923 0.7072 0.3653
0.6988 0.7143 0.8674
0.4223 0.0702 0.2498
0.4242 0.0644 0.7425
0.4257 0.5729 0.2500
0.4385 0.5788 0.7577
0.9290 0.0608 0.2403
0.9329 0.0689 0.7575
0.9227 0.5716 0.2494
0.9269 0.5791 0.7515
0.1775 0.4224 0.2502
0.1860 0.4417 0.7500
0.1755 0.9242 0.2491
0.1861 0.9315 0.7589
0.6741 0.4249 0.2497
0.6824 0.4392 0.7590
0.6795 0.9255 0.2502
0.6770 0.9210 0.7506
```

=====

## Li9Mn2Co5O16 (PBE with a Hubbard U)

Data for a relaxed structure of Li9Mn2Co5O16.

Results
V (Å³ per atom): 8.9
Raw total energy (eV/atom): -5.827
Energy relative to the elements (meV per atom): -1837

```
Li9Mn2Co5O16
1.0
5.0003 0.0000 0.0000
-1.6719 7.5936 0.0000
-1.6045 -1.4561 7.4925
Li Mn Co O
9 2 5 16
direct
0.4880 0.7442 0.7393
0.0148 0.3823 0.1321
0.5019 0.9957 0.4961
0.9774 0.8687 0.6131
0.4968 0.5034 0.0055
0.9937 0.1268 0.3773
0.0077 0.6213 0.8751
0.5077 0.2615 0.2578
0.4973 0.6262 0.3709
0.0008 0.9953 0.0038
0.9996 0.7459 0.2539
0.0018 0.2551 0.7446
0.5009 0.8724 0.1285
0.0074 0.5008 0.4920

Reply =
## Sr2Ca6Mn7FeO20 (PBE with a Hubbard U)

Data for a relaxed structure of Sr2Ca6Mn7FeO20.

Results
V (Å³ per atom): 13.1
Raw total energy (eV/atom): -6.953
Energy relative to the elements (meV per atom): -2528

```
Sr2Ca6Mn7FeO20
1.0
2.2101 -7.4716 7.7193
-3.5344 -8.0795 -6.8414
14.9813 6.2118 -6.0115
Sr Ca Mn Fe O
8 24 28 4 80
direct
0.3083 0.5605 0.6095
0.8068 0.0600 0.6095
0.1991 0.4407 0.8918
0.0578 0.2979 0.6084
0.0586 0.8003 0.6095
0.5589 0.2994 0.6104
0.4489 0.2006 0.8898
0.9457 0.1999 0.3867
0.3058 0.0645 0.1087
0.3075 0.0597 0.6038
0.3057 0.5656 0.1092
0.8036 0.0621 0.1052
0.8068 0.5633 0.1080
0.8069 0.5616 0.6060
0.1990 0.4366 0.3922
0.1994 0.9353 0.3915
0.1992 0.9384 0.8957
0.6986 0.4368 0.3925
0.7013 0.4373 0.8952
0.6989 0.9355 0.3921
0.6995 0.9367 0.8935
0.0576 0.2937 0.1088
0.0562 0.7928 0.1079
0.5580 0.2939 0.1092
0.5565 0.7933 0.1080
0.5577 0.7942 0.6057
0.4505 0.2057 0.3917
0.4490 0.7065 0.3926
0.4510 0.7083 0.8951
0.9508 0.2072 0.8946
0.9494 0.7050 0.3917
0.9483 0.7074 0.8942
0.0044 0.9981 0.4976
0.0029 0.5002 0.4970
0.5041 0.9987 0.4976
0.5073 0.5011 0.0021
0.5044 0.4993 0.4972
0.2568 0.2515 0.0029
0.2544 0.2472 0.4968
0.2565 0.7527 0.0019
0.2550 0.7499 0.4969
0.7573 0.2508 0.0010
0.7529 0.2501 0.4979
0.7528 0.7475 0.4967
0.1117 0.0941 0.2474
0.1117 0.0928 0.7529
0.1108 0.5961 0.2501
0.1082 0.6010 0.7513
0.6076 0.0961 0.2498
0.6110 0.0925 0.7493
0.6084 0.5949 0.2496
0.6152 0.6033 0.7528
0.3579 0.4053 0.2507
0.3674 0.4062 0.7517
0.3587 0.9033 0.2501
0.3647 0.9016 0.7498
0.8571 0.4067 0.2482
0.8609 0.4074 0.7525
0.8579 0.8991 0.2476
0.8584 0.8994 0.7515
0.0058 0.0002 0.0006
0.0064 0.5008 0.0022
0.5068 0.0014 0.0029
0.7557 0.7496 0.0009
0.1273 0.1178 0.4901
0.1255 0.1229 0.9900
0.1228 0.6213 0.4856
0.1251 0.6282 0.9914
0.6199 0.1179 0.4842
0.6308 0.1216 0.9918
0.6231 0.6193 0.4880
0.6234 0.6183 0.9899
0.1386 0.3786 0.0154
0.1317 0.3774 0.5033
0.1375 0.8812 0.0126
0.1353 0.8792 0.5056
0.6411 0.3790 0.0149
0.6345 0.3811 0.5071
0.6340 0.8779 0.0128
0.6298 0.8731 0.5058
0.3711 0.1150 0.4853
0.3727 0.1202 0.9933
0.3745 0.6198 0.4871
0.3769 0.6272 0.9936
0.8710 0.1161 0.4887
0.8746 0.1194 0.9889
0.8710 0.6175 0.4867
0.8723 0.6158 0.9877
0.3883 0.3856 0.0171
0.3819 0.3777 0.5029
0.3837 0.8822 0.0125
0.3857 0.8809 0.5103
0.8861 0.3797 0.0137
0.8791 0.3834 0.5068
0.8867 0.8835 0.0139
0.8802 0.8757 0.5027
0.0848 0.0952 0.1341
0.0757 0.0789 0.6341
0.0817 0.5962 0.1319
0.0715 0.5855 0.6331
0.5809 0.0960 0.1330
0.5751 0.0842 0.6291
0.5802 0.5943 0.1342
0.5767 0.5892 0.6333
0.4450 0.4087 0.3653
0.4479 0.4125 0.8702
0.4433 0.9058 0.3651
0.4513 0.9106 0.8674
0.9425 0.4138 0.3623
0.9482 0.4042 0.8689
0.9445 0.9099 0.3639
0.9462 0.9047 0.8674
0.3295 0.2914 0.1374
0.3256 0.2931 0.6314
0.3300 0.7922 0.1347
0.3245 0.7951 0.6310
0.8300 0.2905 0.1338
0.8205 0.2985 0.6317
0.8280 0.7854 0.1341
0.8218 0.7938 0.6324
0.1911 0.2049 0.3633
0.1938 0.2059 0.8672
0.1993 0.7128 0.3691
0.1965 0.7110 0.8684
0.6902 0.2112 0.3677
0.6959 0.2119 0.8692
0.6923 0.7072 0.3653
0.6988 0.7143 0.8674
0.4223 0.0702 0.2498
0.4242 0.0644 0.7425
0.4257 0.5729 0.2500
0.4385 0.5788 0.7577
0.9290 0.0608 0.2403
0.9329 0.0689 0.7575
0.9227 0.5716 0.2494
0.9269 0.5791 0.7515
0.1775 0.4224 0.2502
0.1860 0.4417 0.7500
0.1755 0.9242 0.2491
0.1861 0.9315 0.7589
0.6741 0.4249 0.2497
0.6824 0.4392 0.7590
0.6795 0.9255 0.2502
0.6770 0.9210 0.7506
```

=====

## Li9Mn2Co5O16 (PBE with a Hubbard U)

Data for a relaxed structure of Li9Mn2Co5O16.

Results
V (Å³ per atom): 8.9
Raw total energy (eV/atom): -5.827
Energy relative to the elements (meV per atom): -1837

```
Li9Mn2Co5O16
1.0
5.0003 0.0000 0.0000
-1.6719 7.5936 0.0000
-1.6045 -1.4561 7.4925
Li Mn Co O
9 2 5 16
direct
0.4880 0.7442 0.7393
0.0148 0.3823 0.1321
0.5019 0.9957 0.4961
0.9774 0.8687 0.6131
0.4968 0.5034 0.0055
0.9937 0.1268 0.3773
0.0077 0.6213 0.8751
0.5077 0.2615 0.2578
0.4973 0.6262 0.3709
0.0008 0.9953 0.0038
0.9996 0.7459 0.2539
0.0018 0.2551 0.7446
0.5009 0.8724 0.1285
0.0074 0.5008 0.4920